Power Supply Aware Computing



Abstract—This paper discusses the performance benefits and

energy efficiency improvements from microprocessors that

communicate with their power supply. The power supply's

response to computing load changes can be vastly improved with

information about expected transients. Supply voltages can be

modified to decrease steady-state power losses. A

microprocessor can also adjust its computational activity based

on information provided by the power supply. Additional

benefits such as cost reduction, size reduction, and improved

reliability are expected. Experimental results demonstrate the


I. 介绍微处理器需要在低电压(约1 V)和大电流(100 A或更多)下的功率。由于处理负载步骤而导致的电流需求的变化速率可以是数百个A/µs,同时需要一个严格调节的电压供应(如50 mV最大偏差)[1]。如果电源电压偏离了给定的范围,微处理器就会出现处理错误。因此,降压转换器需要一个大的输出电容和一个低电感的电感器(如图1所示),以满足供电规格。



Microprocessors need power at low voltages (around 1 V)

and high currents (100 A or more at full load). The rate of

change in current demand due to processing load steps can be

hundreds of A/µs while simultaneously requiring a tightly

regulated voltage supply (such as 50mV maximum deviation)

[1]. If the supply voltage were to deviate outside the given

bounds, processing errors would occur in the microprocessor.

As a result, a large output capacitance and an inductor with

low inductance is necessary in the buck converter (shown in

Fig. 1) that typically supplies microprocessors in order to meet

the supply specifications.


To overcome the low output impedance requirement for

the power supply and to improve transient response, multiple

buck converters are commonly connected in parallel. This

multiphase buck converter has an increased effective control

bandwidth and can decrease output voltage ripple by a factor

of ݊ through switch interleaving, where ݊ is the number of

buck phases in the converter. A multiphase approach also

distributes converter stresses and heat dissipation but expands

parts count and raises cost.

转换器响应负载瞬变的能力往往受到所实现的控制方法的限制。采用线性控制方法,转换器的控制带宽一般为开关频率的十分之一(典型的电源开关在200-500 kHz)。这激发了非线性控制方法,如最小时间控制,可以应用于瞬态,以提高转换器性能[2]。

ability of the converter to respond to load transients is often limited by the control method implemented. With linear control methods, the control bandwidth of the converter is generally one-tenth of the switching frequency (typical supplies switch at 200-500 kHz). This has motivated nonlinear control methods such as minimum time control that can be applied during a transient to improve converter performance [2].


Figure 1. A buck converter is commonly used in voltage regulators for

microprocessors. Augmentation branches can be added to improve



A number of challenges facing power supply designers

could be simplified if there was more interaction between the

microprocessor and the supply. In the following sections,

some of the benefits will be explained. Section II discusses the

physical limits to buck converter performance when a fixed

topology is used. In Section III, the focus is on advantages of

the microprocessor providing the power supply with

information. Section IV examines another paradigm where the

microprocessor adjusts its activity based on information given

to it about the state of the power supply.



The supply voltage (V

dd) for logic circuits must be

maintained within a fixed range. If not, variations in the delay

time between logic elements occur resulting in latching errors

that can introduce miscalculations. While there are a variety of

methods to mitigate the effects of these errors [3], [4],

avoiding these errors with a tightly regulated supply voltage is



Regulating the supply voltage in steady state is a fairly

simple task with standard linear controls. Guaranteeing that

the voltage does not deviate outside the specified bounds

when the load abruptly changes is considerably more

challenging. Load transients can induce large overshoot or

undershoot in the supply voltage. To combat this problem, a

common practice in hardware design is to increase the output

capacitance of the power supply’s buck converter. This

provides an energy buffer that can be utilized when load steps

occur. Some of the drawbacks associated with this approach

are increased cost and board footp


Figure 2. Minimum time response of buck converter to a load step-up

with no delay or switch timing inaccuracies. Voltage deviation is the

minimum amount possible for a fixed topology


Numerous control techniques have been developed to

improve the transient response of the power supply. As a

voltage source, the goal is to supply constant voltage over a

range of current levels. The average inductor current in a buck

converter is equal to the steady-state load current, so the

inductor current must move from one current level to the next

during transients. Hence, one of the fundamental limits to the

performance of a buck converter is the inductor slew rate. The

slew rate is proportional to the voltage across the inductor and

inversely proportional to its inductance. Many control

methods will apply a linear controller during steady-state

operation and a nonlinear controller to move the converter

states from one operating point to the next during a transient.

A swift transient response is necessary in order to minimize

voltage deviation.


Minimum time control, also known as time-optimal

control, can be used to push the transient response of a power

converter with a fixed topology to its physical limits [5]-[7]. It

has been shown that a new operating point can be reached in

minimum time with one set of switch actions [8]-[10]. For the

load step-up depicted in Fig. 2, the high side switch (q1) will

first turn on and the current through the inductor will increase.

The output capacitor supplies the difference between the load

current and inductor current, so the capacitor voltage dips at

first. The inductor current must go beyond the new load

current level to replace the charge in the capacitor that was

lost. The high side switch is turned off by control at the

appropriate time such that the charges lost and replaced

(represented by area Q1 and Q2, respectively) are equal.


There are several challenges with implementing minimum

time control. One key element is detecting load steps

accurately and swiftly. Sensing when the capacitor voltage

passes a voltage threshold is a common approach, but this

Misplaced materials data >
This entry pairs a crystal structure of Li2VP4H8O16 with its calculated X-ray powder pattern. Radiation: copper Kα. Structure: a crystal structure in Alexandria, relaxed with PBE+U.
Intensities are scaled so that the largest is 1000.

Largest 10 diffraction maxima, sorted by position, 2θ from 10° to 90°:
- 2θ 12.98, I 922, (1 0 0)
- 2θ 15.76, I 763, (0 1 1)
- 2θ 18.70, I 1000, (0 1 -1)
- 2θ 21.97, I 330, (-1 1 1)
- 2θ 23.67, I 291, (0 0 2)
- 2θ 23.79, I 316, (1 -1 1)
- 2θ 24.92, I 394, (0 1 2)
- 2θ 26.14, I 333, (2 0 0)
- 2θ 28.47, I 335, (2 1 1)
- 2θ 32.73, I 270, (-2 1 1)

Atomic structure:
```
data_Li2VP4H8O16
_space_group_name_H-M_alt 'P -1'
_space_group_IT_number 2
_cell_length_a 6.922
_cell_length_b 7.218
_cell_length_c 7.640
_cell_angle_alpha 79.87
_cell_angle_beta 86.58
_cell_angle_gamma 80.28
loop_
_space_group_symop_operation_xyz
'x,y,z'
'-x,-y,-z'
loop_
_atom_site_label
_atom_site_type_symbol
_atom_site_fract_x
_atom_site_fract_y
_atom_site_fract_z
_atom_site_occupancy
Li1 Li 0.212 0.305 0.309 1
V1 V 0.000 0.000 0.500 1
P1 P 0.194 0.739 0.188 1
P2 P 0.231 0.271 0.717 1
H1 H 0.108 0.784 0.830 1
H2 H 0.162 0.648 0.688 1
H3 H 0.291 0.005 0.926 1
H4 H 0.478 0.548 0.272 1
O1 O 0.010 0.346 0.790 1
O2 O 0.060 0.756 0.716 1
O3 O 0.204 0.870 0.319 1
O4 O 0.211 0.176 0.558 1
O5 O 0.217 0.825 0.993 1
O6 O 0.325 0.449 0.676 1
O7 O 0.335 0.539 0.235 1
O8 O 0.337 0.135 0.877 1
```
The article goes on >

introduces a delay in the response. After the transient is

detected, the timing of the switching action must be precisely

determined based on the load step size to ensure time

optimality. This may require significant processing in the

voltage regulator’s controller and therefore limits switching

frequency. Ideal waveforms associated with minimum time

control are shown in Fig. 2. There is also some difficulty in

从瞬态控制方法平稳地过渡到稳态控制器。罗马数字 3通信电源和微处理器通常作为单独的系统进行设计和操作。电源设计师得到了微处理器制造商[1]的要求和期望清单。在运行期间,两个系统之间确实发生的有限的交互作用主要包括状态指示器和稳态参考信号(例如,电压识别数字,或VID)

smoothly transitioning from the transient control method to the steady-state controller. III. OMMUNICATION Power supplies and microprocessors are generally designed and operated as separate systems. Power supply designers are given a list of requirements and expectations by microprocessor manufacturers [1]. The limited interaction that does occur between the two systems during operation consists primarily of status indicators and steady-state reference signals (e.g. Voltage Identification Digital, or VID)

通过微处理器和电源之间的更多交互,微处理器电源面临的许多挑战可以减轻。不仅可以提高性能,还可以提高能源效率、可靠性和成本。该微处理器也可以受益于来自电源的额外信息。A. 微处理器与电源通信

Many of the challenges facing microprocessor power  supplies could be mitigated with more interaction between the microprocessor and the power supply. Not only could there be improvements to performance but also energy efficiency, reliability, and cost. The microprocessor may also benefit from additional information from the power supply. A. Microprocessor communicating with the power supply


wer supply, as suggested in Fig. 3, to improve performance and efficiency. For example, if the microprocessor could provide advance notice of the load step size, direction, or timing, the power supply could respond more swiftly and accurately. In fact, including even one of these pieces of information has the potential to substantially improve the transient response. The sensing and computation delay in a nonlinear controller would be removed and action could be taken. This would lead to reduced overshoot or undershoot in the supply voltage. Voltage overshoot is especially difficult to manage since the voltage across the inductor in a buck converter with the low side switch on is approximately equal to the output voltage. When the high side switch is activated, the voltage across the inductor is the difference between the input voltage and the output voltage. This means that the slew rate of the inductor during a load decrease can be an order of magnitude slower than during a load increase


While the physical limits of transient response are reached for a fixed topology buck converter with minimum time

control, it is possible to have even better performance. Converter augmentation has been proposed to nullify load transients through adding extra energy paths [11]-[13]. The augmentation paths will either supply energy during a load increase or sink energy during a load decrease by contributing the difference between the load current and inductor current. Although the components used in augmentation can be simple,

图3:微处理器可以通知电源。Figure 3. The microprocessor can inform the power supply when a load step will occur and how large the transient will be.


it can be difficult to implement because of sensing delays. If the microprocessor provided the load step information, converter augmentation would be simplified. Furthermore, the inductor energy could be altered in anticipation of a load step if advance information is provided. This would support a load feedforward effect that enables the power supply to proactively limit the voltage deviation due to load transients

While a feedforward approach has been suggested previously [14], it has relied upon additional sensing circuitry to reconstruct load current estimates.

电源通常使用一种称为负载线调节或下垂(通常称为自适应电压定位)的技术,以允许更多的电压摆动净空间来响应负载步骤。在轻负载时,电压保持在可接受电压带的顶部附近,而在重负载时,电压保持在电压带的底部附近。这就可以充分利用电压带。或者,如果瞬态响应改善到不再需要这个净空空间,那么稳态电压可以保持在电压带的底部附近。这可以适应在轻负载下降低电压约100 mV,基于平均50%的负载,可以将微处理器的功耗降低约10%

Power supplies normally use a technique called load-line regulation or droop (often termed adaptive voltage

positioning) to allow more voltage swing headroom for responding to load steps. At light loads the voltage is

maintained near the top of the acceptable voltage band, and it is maintained near the bottom of the band at heavy loads. This enables full utilization of the voltage band. Alternatively, if the transient rsponse was improved to the point that this headroom were no longer necessary, the steady-state voltage could remain near the bottom of the voltage band. This might accommodate lowering the voltage by about 100 mV at light loads which could reduce microprocessor power consumption by about 10%, based on average 50% loading

B. 与微处理器通信的电源通常,电源必须调节到给定的参考(减少下垂),并支持微处理器负载。在大多数情况下,微处理器认为供电是理所当然的,并且在运行时几乎不考虑供电条件。这种模式可以逆转,这样微处理器将根据电源要求的限制限制其活动(如图4所示)。这主要适用于微处理器想要改变其计算负载时。该微处理器可以根据电源的旋转率来调整其计算负载的斜坡率。目标是匹配旋转速率,使电源电压(Vdd)没有偏差。

B. Power supply communicating with the microprocessor

Generally the power supply must regulate to a given reference (less droop) and support the microprocessor load. For the most part, the microprocessor takes the supply for granted and operates with little consideration of power supply conditions. This paradigm could be reversed such that the microprocessor would throttle its activity based on limits requested by the power supply (illustrated in Fig. 4). This applies primarily when the microprocessor wants to change its computational load. The microprocessor could adjust the ramp

rate of its computational load based on the slew rate of the power supply. The objective would be to match slew rates so that there would be no deviation in the supply voltage (Vdd).


ility would be limited for short intervals, but there would improvements in the power supply's efficiency and voltage regulation. Since the slew rate of the microprocessor is orders of magnitude greater than the power supply, it can easily match the power supply’s slew rate. One challenge with this approach would be during a load decrease. The microprocessor would likely need to know when a set of calculations is likely to complete ahead of time so that it can gradually decrease its computational activity instead of ending

abruptly. The microprocessor would signal the power supply 负载正在减少,然后跟踪电源的输出电流的减少速率。考虑到零部件数量和成本的潜在减少,很可能会有系统效益。由于电源电压超冲和欠冲可以用这种方法调节,因此需要更少的散装电容器。这将导致提高可靠性。

that the load is decreasing and then track the power supply’s rate of decrease in output current. There are likely to be system benefits, given the potential reduction in parts count and cost. Since supply voltage overshoots and undershoots can be moderated with this approach, fewer bulk capacitors would be required. This would lead to improvements in reliability.



To demonstrate the benefits of power supply aware  computing, an augmented buck converter given prior

information about load step size, direction, and timing is examined. This mimics one type of behavior that a

microprocessor that communicates with the power supply would exhibit. The load feedforward enables the buck converter to move directly from one operating point to the next with little overshoot or undershoot in the supply voltage. This particular converter is a test unit with relatively high impedance and minimal output capacitance compared to commercial multi-phase converters. Tests on it represent relative improvements that can be achieved with this control approach.

图5 (a)中对60%负载下降的瞬态响应显示了小于50 mV的电压超调。电感器电流直接移动到增强降压转换器中的新负载电流值。尽管从一个操作点到下一个操作点的过渡时间是缓慢的20-30µs,

The transient response to a sixty percent load step-down in Fig. 5 (a) displays a voltage overshoot of less than 50 mV. The inductor current moves directly to the new load current value in the augmented buck converter. Even though the transition time from one operating point to the next is a slow 20-30 µs,


with known load step size and time. (b) Load steps up and down in an augmented buck converter with known load step size and tim

他对电压调节的干扰是最小的。增强分支在瞬态运行期间去除多余的能量,并在稳态运行时保持关闭。如果在同一转换器中实现最小时间控制,电感电流将需要降低到新的负载水平之前,然后回到新的负载水平。这使过渡时间增加了一倍,电压超调时间大约增加了四倍。在图5 (b)中,时间尺度被扩展,并观察到电流对几个负载步长的急剧响应。随着增强和负载步长信息的增加,电源电压的瞬态偏差几乎消失。

he disruption in voltage regulation is minimal. The augmentation branch removes the excess energy during the transient and remains off during steady-state operation. If minimum time control were implemented in this same converter, the inductor current would need to decrease beyond the new load level before coming back to the new operating point. This doubles the transition time and roughly quadruples the voltage overshoot. In Fig. 5 (b) the time scale is expanded and a sharp current response to several load steps in current is observed. The supply voltage transient deviations are nearly nullified with augmentation and load step information.



Power supply requirements for microprocessors are stringent in terms of voltage regulation and load current slew rates. To avoid supply voltage deviation which could lead to processing errors, a large bulk capacitance is commonly used in power supplies. This increases cost, increases motherboard footprint, and reduces reliability. Although a variety of nonlinear control techniques have been developed to swiftly move from one load condition to the next, the physical slewrate limits of transient response are encountered本文中提出的另一种范例包括增加微处理器和电源之间的通信。如果给电源关于负载步长和定时的信息,则电源电压瞬态几乎无效。另一种方法是根据电源的旋转速率来限制微处理器的活动。这将减轻电源电压的偏差,同时只是暂时限制计算活动的变化。实验结果表明,一个瞬态响应几乎无效的增强功率转换器。

An alternative paradigm presented in this paper involves

increased communication between the microprocessor and

power supply. Supply voltage transients can be nearly

nullified through augmentation if the power supply is given

information about the load step size and timing. Another

approach is to throttle the activity of the microprocessor based

on the slew rate of the power supply. This would mitigate

supply voltage deviation while only temporarily constraining

the change in computational activity. Experimental results that

demonstrate a nearly nullified transient response have been

presented for an augmented power converter.

作者要感谢M. Sweeney和V. Bora在设计、建造和测试增强降压转换器方面的帮助。参考[1]英特尔公司,“电压调压器模块(VRM)和企业电压调压器下降(EVRD)11.1设计指南”,


The authors would like to thank M. Sweeney and V. Bora

for their assistance with designing, building, and testing the

augmented buck converter.


[1] Intel Corp., “Voltage regulator module (VRM) and enterprise voltage

regulator-down (EVRD) 11.1 design guidelines,